Thursday, October 4, 2007


We arrived in Amsterdam by train from Cologne yesterday. It was raining a little when we first arrived, but our hostel was close. I'm learning that whenever the hostel is close to the train station that also means it is right in the middle of the red light districts. Our hostel in Amsterdam is called St. Christopher's and it right in the middle of all this rather seedy stuff. When you are here you learn that a coffieshop is where they sell the marijuana, and the cafes sell the alcohol. I have been intrigued for some time about how The Netherlands manages to have soft drugs and legal prostitution and still have a functioning society. They look at it this way. If you accept that people are going to do it whether legal or not, why not make it at least safe? Thats exactly what they do. As we walked the streets, especially at night, we would see police on motorcycles, horse, and foot patrolling the streets every few minutes. But they are looking for drug dealers who sell hard drugs, and leaving the coffeeshops alone. I've never felt so safe because I knew the cops were out there to protect us and not hassle people just having a good time.

Amsterdam is not just all drugs and red light district. As we walked just a few blocks in almost any direction we would find nice homes on beautiful canal streets where people lived and were coming and going just like anywhere else.

In the morning we set out for the museum district on the south side of the town. The first place we stopped was the Heineken Experience, where they showed how beer is made. To me, it felt just like we were in one big beer commercial. On the up side though, they give you three free beers with the turn. Fisrt museum I've ever been to where they serve alcohol.

Next stop was the Vincent van Gogh Museum. I'm not really that knowledgeable about art, other than I know good stuff when I see it. I don't know if I came away liking Van Gogh or any of his contemporaries more when I left or not. I do know that the life of Van Gogh was compelling. I guess thats what adds to the mystique some of our greatest artist. I've included this video where I think Don McLean's song "Vincent" sums it up pretty nicely. And you can check out some of his great works.

## Here the piece breaks off for data records
********
(1)
Structure and calculated powder X-ray diffraction pattern of TaTlCu2Cl8 (a DFT-relaxed cell (GGA-PBE, Alexandria); λ = 1.5418 Å (Cu Kα)).

Largest 10 diffraction maxima, in order of rising 2θ, 10 to 90 degrees two-theta:
hkl	2θ (°)	d/Å	I (rel.)
0 1 2	17.82	4.978	19
1 0 4	20.06	4.427	100
0 1 8	27.30	3.266	30
1 1 0	29.68	3.010	37
1 1 6	33.83	2.650	18
0 2 4	36.08	2.489	22
1 1 12	44.23	2.048	32
2 1 4	47.39	1.918	20
1 2 8	51.23	1.783	12
3 0 0	52.67	1.738	16

abc: 6.0203 6.0203 33.5231
angles: 90.00 90.00 120.00
Space group R32 (No. 155, hexagonal axes)
Asymmetric unit:
Ta (0.0000, 0.0000, 0.0000)
Tl (0.0000, 0.0000, 0.5000)
Cu (0.0000, 0.0000, 0.2570)
Cl (0.0000, 0.0000, 0.1923)
Cl (0.0077, 0.3096, 0.0460)

=====

(2)
Structure and calculated powder X-ray diffraction pattern of Cu2TcCl (a DFT-relaxed cell (GGA-PBE, Alexandria); λ = 1.5418 Å (Cu Kα)).

Largest 10 diffraction maxima, in order of rising 2θ, 10 to 90 degrees two-theta:
hkl	2θ (°)	d/Å	I (rel.)
0 0 3	11.22	7.888	28
1 0 1	35.88	2.503	8
1 0 4	38.88	2.316	100
0 0 12	46.03	1.972	20
0 1 8	47.43	1.917	55
1 1 0	64.08	1.453	21
1 0 16	74.40	1.275	13
0 2 4	77.55	1.231	12
1 1 12	82.45	1.170	20
2 0 8	83.47	1.158	10

abc: 2.9064 2.9064 23.6633
angles: 90.00 90.00 120.00
Space group R-3m (No. 166, hexagonal axes)
Asymmetric unit:
Cu (0.0000, 0.0000, 0.2475)
Tc (0.0000, 0.0000, 0.0000)
Cl (0.0000, 0.0000, 0.5000)

=====

(3)
Structure and calculated powder X-ray diffraction pattern of CuTcCl4 (a DFT-relaxed cell (GGA-PBE, Alexandria); λ = 1.5418 Å (Cu Kα)).

Largest 10 diffraction maxima, in order of rising 2θ, 10 to 90 degrees two-theta:
hkl	2θ (°)	d/Å	I (rel.)
0 2 0	10.95	8.077	97
0 2 1	20.31	4.373	100
1 3 -1	22.26	3.994	20
2 2 -1	26.16	3.407	27
1 1 1	28.36	3.147	20
2 4 -1	32.54	2.751	72
0 0 2	34.49	2.600	41
1 5 -2	40.38	2.234	16
2 4 -3	49.05	1.857	22
3 5 0	52.33	1.748	16

abc: 7.524 16.153 6.274
angles: 90.00 124.01 90.00
Space group C2/c (No. 15)
Asymmetric unit:
Cu (0.000, 0.136, 0.250)
Tc (0.000, 0.309, 0.750)
Cl (0.188, 0.201, 0.693)
Cl (0.205, 0.413, 0.713)

=====

(4)
Structure and calculated powder X-ray diffraction pattern of Cu2TeCl (a DFT-relaxed cell (GGA-PBE, Alexandria); λ = 1.5418 Å (Cu Kα)).

Largest 10 diffraction maxima, in order of rising 2θ, 10 to 90 degrees two-theta:
hkl	2θ (°)	d/Å	I (rel.)
1 0 0	13.84	6.396	100
1 1 0	26.92	3.312	46
0 1 2	27.12	3.288	65
2 0 -4	28.82	3.097	54
2 1 -2	33.79	2.653	41
0 1 4	36.99	2.431	73
3 0 -4	38.01	2.367	36
1 1 4	44.55	2.034	53
0 2 0	46.95	1.935	37
3 1 0	48.76	1.868	45

abc: 7.290 3.871 14.237
angles: 90.00 118.67 90.00
Space group P2/c (No. 13)
Asymmetric unit:
Cu (0.165, 0.019, 0.492)
Cu (0.286, 0.483, 0.845)
Te (0.039, 0.485, 0.633)
Cl (0.496, 0.013, 0.375)

=====

(5)
Structure and calculated powder X-ray diffraction pattern of Cu3Te2Cl (a DFT-relaxed cell (GGA-PBE, Alexandria); λ = 1.5418 Å (Cu Kα)).

Largest 10 diffraction maxima, in order of rising 2θ, 10 to 90 degrees two-theta:
hkl	2θ (°)	d/Å	I (rel.)
0 1 -1	14.38	6.160	100
********


Anonymous said...

Wow, I really enjoyed the art work by Vincent Van Gogh!

One thing I couldn't help but noticing was he painted a number of self potraits. Regardless he was truly a talented artist.

Thanks for sharing,

Anonymous said...


Loved your photos of Amsterdam and You Tube display. The canals are just as I remember. How are those two feet doing? Don't forget that I will be traveling to Indianapolis tomorrow. Your grandmother wants me to have one of my cousins bring a laptop so she can see your blog, too. I will be home the evening of the 10th, and I will give you a call as soon as I return. How about dinner on the 11th?

Love, Mom

(1)
Theoretical powder X-ray diffraction pattern
Compound: FeSO5
Radiation: CuKα
Structure: a structure optimized by DFT (GGA+U)
Intensities are scaled so that the largest is 100.

Cell and atoms:
Unit cell a=6.878 b=7.971 c=6.953 alpha=90.00 beta=114.96 gamma=90.00
Space group C2/c (No. 15)
Asymmetric unit:
Fe: 0.000 0.000 0.000
S: 0.000 0.339 0.250
O: 0.000 0.075 0.750
O: 0.083 0.232 0.124
O: 0.175 0.446 0.395

Largest 10 diffraction maxima, by angle, 2θ = 15–90°:
18.06°, rel. 77, hkl 1 1 0
18.86°, rel. 63, hkl 1 1 -1
22.31°, rel. 26, hkl 0 2 0
26.46°, rel. 79, hkl 0 2 1
28.10°, rel. 100, hkl 1 1 -2
28.63°, rel. 70, hkl 2 0 0
36.34°, rel. 31, hkl 0 2 2
36.77°, rel. 36, hkl 1 3 0
45.07°, rel. 24, hkl 3 1 0
54.47°, rel. 32, hkl 2 2 2

***

(2)
Theoretical powder X-ray diffraction pattern
Compound: FeSO6
Radiation: CuKα
Structure: a structure optimized by DFT (GGA+U)
Intensities are scaled so that the largest is 100.

Cell and atoms:
Unit cell a=7.080 b=9.419 c=10.794 alpha=90.00 beta=121.78 gamma=90.00
Space group P2_1/c (No. 14)
Asymmetric unit:
Fe: 0.131 0.198 0.316
S: 0.437 0.603 0.288
O: 0.014 0.180 0.861
O: 0.021 0.183 0.141
O: 0.203 0.057 0.416
O: 0.343 0.037 0.762
O: 0.483 0.666 0.186
O: 0.485 0.679 0.417

Largest 10 diffraction maxima, by angle, 2θ = 15–90°:
17.05°, rel. 23, hkl 1 0 -2
17.49°, rel. 41, hkl 1 1 0
18.84°, rel. 25, hkl 0 2 0
19.35°, rel. 72, hkl 0 0 2
21.21°, rel. 100, hkl 0 2 1
23.99°, rel. 25, hkl 1 2 0
25.49°, rel. 45, hkl 2 0 -2
27.18°, rel. 34, hkl 2 1 -2
27.55°, rel. 55, hkl 2 1 -1
31.21°, rel. 44, hkl 2 1 0

***

Q: Which formula does entry 1 have?
A: FeSO5

***

Copy entry 2 word for word.
Theoretical powder X-ray diffraction pattern
Compound: FeSO6
Radiation: CuKα
Structure: a structure optimized by DFT (GGA+U)
Intensities are scaled so that the largest is 100.

Cell and atoms:
Unit cell a=7.080 b=9.419 c=10.794 alpha=90.00 beta=121.78 gamma=90.00
Space group P2_1/c (No. 14)
Asymmetric unit:
Fe: 0.131 0.198 0.316
S: 0.437 0.603 0.288
O: 0.014 0.180 0.861
O: 0.021 0.183 0.141
O: 0.203 0.057 0.416
O: 0.343 0.037 0.762
O: 0.483 0.666 0.186
O: 0.485 0.679 0.417
Here the article continues >

Marshall said...

Nick, remember when you dressed up like Poochie and sang "Freaks of the Industry" by Digital Underground? Yea, I think you should post that on here as well.

Anonymous said...

Nick, Loved and really enjoyed your photos,comments, and You Tube display. Loved seeing your mom, sister, and Uncle Barry, though it was for a very short visit and under poor circumstances. Hope you can visit the next time they are in Indy. Love, Cousin Stef